EU Unveils Roadmap for Single Digital Market for Data and AI
The European Commission published new white papers on its goals of creating a single market for personal and non-personal data and promoting the development of artificial intelligence in Europe.
• Between two parts of the entry: quantum chemistry results:
____________
[1]
{
  "formula": "C36H53N4NiOP2",
  "method": "ωB97M-V/def2-TZVPD",
  "species": ["C", "H", "H", "C", "H", "H", "C", "N", "P", "H", "C", "H", "H", "H", "H", "H", "C", "C", "H", "H", "H", "H", "H", "H", "C", "H", "H", "H", "H", "C", "C", "H", "C", "H", "H", "N", "C", "C", "H", "C", "C", "H", "H", "C", "C", "H", "C", "C", "H", "H", "H", "H", "H", "C", "C", "Ni", "H", "N", "H", "H", "C", "C", "H", "H", "P", "H", "C", "N", "H", "H", "H", "C", "H", "C", "C", "O", "H", "H", "C", "H", "H", "C", "C", "C", "C", "H", "H", "H", "H", "C", "H", "C", "H", "C", "H", "C", "C"],
____________
This week, the European Commission published white papers detailing its strategies regarding the use of data and artificial intelligence ("AI"). Several additional reports accompany the white papers and cover topics such as safety and liability and high-level policy goals. The European Commission's stated goals for the various policy recommendations are to help European companies exploit industrial and commercial data, position Europe as a leader in the data economy, and set global standards.
European Data Strategy
The aim of the strategy is to create a genuine single market for personal and non-personal data that are secure and easily accessible to businesses and the public sector to create and innovate. The report proposes legislative measures based on the following concepts:
- Establishing a governance framework for data access and use.
- Empowering individuals to exercise their rights over the data they generate.
- Investing in SMEs to ensure better access to data.
- Strengthening Europe's infrastructures for hosting and processing data and for interoperability.
What comes next are molecular data, not part of the article
- - -
Record 1
A cluster of 8 separate species, C32H63NO14 in total at a distorted geometry, computed with ωB97M-V with the def2-TZVPD basis set.

Cartesian coordinates (Å):
O -7.464 -12.611 -4.748
C -8.282 -11.747 -4.946
O -9.561 -11.849 -4.598
C -9.989 -13.137 -4.119
C -9.932 -13.246 -2.619
C -7.992 -10.432 -5.605
H -9.381 -13.938 -4.545
H -10.991 -13.266 -4.530
H -10.485 -12.474 -2.084
H -8.893 -13.174 -2.288
H -10.281 -14.243 -2.353
H -6.930 -10.250 -5.702
H -8.463 -9.629 -5.033
H -8.464 -10.417 -6.590
O -18.191 -18.453 -6.648
C -17.710 -17.957 -5.665
O -16.425 -17.583 -5.578
C -15.620 -17.762 -6.747
C -15.693 -16.592 -7.700
C -18.465 -17.730 -4.394
H -15.895 -18.676 -7.273
H -14.605 -17.924 -6.381
H -14.838 -16.585 -8.378
H -15.733 -15.616 -7.212
H -16.592 -16.676 -8.316
H -19.515 -17.559 -4.609
H -18.057 -16.928 -3.777
H -18.413 -18.618 -3.757
O -19.979 -11.135 -5.807
C -18.862 -11.392 -6.159
O -18.435 -12.661 -6.360
C -19.418 -13.700 -6.244
C -18.687 -14.971 -6.552
C -17.740 -10.391 -6.321
H -20.254 -13.532 -6.927
H -19.853 -13.683 -5.243
H -17.854 -15.068 -5.857
H -18.330 -14.945 -7.582
H -19.357 -15.829 -6.505
H -17.611 -9.904 -5.355
H -17.964 -9.630 -7.063
H -16.832 -10.912 -6.614
O -8.421 -18.298 -1.064
C -9.116 -17.450 -1.535
O -8.969 -16.983 -2.784
C -8.035 -17.664 -3.643
C -8.059 -16.914 -4.956
C -10.165 -16.685 -0.786
H -8.284 -18.719 -3.741
H -7.048 -17.598 -3.183
H -7.516 -15.968 -4.887
H -9.073 -16.697 -5.282
H -7.532 -17.462 -5.742
H -10.636 -17.307 -0.030
H -10.888 -16.185 -1.427
H -9.702 -15.870 -0.216
O -18.769 -14.784 0.958
C -17.938 -15.194 0.199
O -17.652 -14.611 -0.970
C -18.324 -13.364 -1.267
C -18.618 -13.373 -2.749
C -17.091 -16.414 0.415
H -17.678 -12.537 -0.986
H -19.246 -13.351 -0.687
H -19.060 -14.338 -2.977
H -17.684 -13.248 -3.310
H -19.196 -12.497 -3.048
H -17.087 -17.065 -0.461
H -17.526 -17.024 1.206
H -16.076 -16.137 0.682
O -13.663 -9.592 1.328
C -13.924 -9.934 0.206
O -13.649 -11.146 -0.278
C -12.980 -12.021 0.624
C -13.045 -13.449 0.118
C -14.585 -9.061 -0.811
H -13.446 -11.969 1.615
H -11.961 -11.689 0.836
H -13.903 -13.574 -0.546
H -13.178 -14.188 0.909
H -12.155 -13.742 -0.441
H -15.447 -9.549 -1.261
H -13.883 -8.856 -1.620
H -14.907 -8.152 -0.318
O -10.982 -14.166 -7.677
C -10.473 -15.258 -7.756
O -10.865 -16.300 -7.019
C -11.949 -16.078 -6.079
C -12.136 -17.394 -5.376
C -9.394 -15.613 -8.735
H -12.828 -15.773 -6.652
H -11.694 -15.280 -5.384
H -12.367 -18.199 -6.072
H -12.995 -17.309 -4.702
H -11.282 -17.649 -4.752
H -9.769 -16.319 -9.476
H -8.493 -15.996 -8.262
H -9.144 -14.705 -9.282
C -14.561 -12.131 -4.593
C -14.768 -13.521 -5.188
C -15.083 -14.650 -4.199
C -13.904 -15.002 -3.405
N -12.943 -15.294 -2.853
H -15.401 -11.814 -3.969
H -14.444 -11.432 -5.425
H -13.654 -12.000 -3.998
H -13.887 -13.762 -5.791
H -15.588 -13.476 -5.914
H -15.385 -15.545 -4.747
H -15.901 -14.401 -3.520

charge: 0
SMILES: CCOC(C)=O.CCOC(C)=O.CCOC(C)=O.CCOC(C)=O.CCOC(C)=O.CCOC(C)=O.CCOC(C)=O.CCCC#N



Record 2
- - -
- Developing common European data spaces in strategic sectors such as industrial, mobility, energy, agriculture, and health.
The Commission seeks feedback on its data strategy until May 31, 2020.
White Paper on AI
The white paper on AI sets forth the European Commission's proposals to promote the development of AI in Europe, while addressing potential risks to human rights. The white paper identifies options to maximize the benefits and address the challenges of AI, which are likely to lead to new legislation.
The paper is subject to a consultation until May 19, 2020.
# Unrelated to this article: records of molecules
Record 1
Entry from the OMol25 dataset: a molecular structure, C17H23N4STl (wB97M-V/def2-TZVPD).

Summary:
max |F| = 0.18 eV/A
HOMO = -0.274 Eh
net charge = 0
Kohn-Sham gap = 8.0 eV
E = -1451.32082 Ha

```
46
Properties=species:S:1:pos:R:3:forces:R:3
Tl -1.2967 -0.8605 2.3498 0.013 0.046 -0.093
C -1.4971 -2.9101 -0.6372 0.045 -0.068 -0.035
N -1.4207 -1.5574 -0.1224 -0.017 0.136 0.018
C -1.2706 -0.5887 -0.9411 0.060 -0.005 -0.005
C -1.1425 0.7757 -0.5179 -0.048 -0.038 -0.078
C -1.0773 1.9223 -1.3071 0.023 0.015 -0.003
C -1.0352 3.0045 -0.4178 0.041 -0.004 0.012
C -1.0746 2.4515 0.8611 0.051 0.010 0.049
N -1.1307 1.1034 0.8122 -0.013 -0.106 0.086
C -2.7552 -3.5848 -0.1553 -0.002 -0.033 0.010
C -2.7988 -4.1655 1.1073 0.024 -0.016 0.008
C -3.9686 -4.7376 1.5826 -0.008 -0.008 0.015
C -5.1096 -4.7400 0.7932 -0.014 -0.005 0.002
C -5.0732 -4.1685 -0.4700 -0.022 -0.003 -0.004
C -3.9017 -3.5927 -0.9386 -0.015 0.017 -0.007
H -0.6265 -3.4643 -0.2716 0.002 0.019 -0.023
H -1.4590 -2.9137 -1.7340 -0.004 -0.021 0.018
H -1.2246 -0.7761 -2.0196 -0.016 -0.011 0.002
H -1.0755 1.9575 -2.3851 -0.010 -0.003 -0.038
H -0.9935 4.0530 -0.6635 -0.003 0.036 -0.007
H -1.0586 2.9660 1.8107 -0.013 0.039 0.039
H -1.9040 -4.1742 1.7206 0.002 -0.001 0.002
H -3.9892 -5.1864 2.5671 0.001 -0.005 0.013
H -6.0230 -5.1889 1.1601 -0.011 -0.005 0.004
H -5.9589 -4.1699 -1.0917 -0.014 -0.002 -0.006
H -3.8781 -3.1408 -1.9232 0.005 0.008 -0.015
C 3.4044 2.4088 -0.1412 -0.025 -0.009 0.004
C 2.5818 2.2542 1.1331 0.017 0.023 0.021
N 1.9178 0.9665 1.2274 -0.055 0.175 0.003
C 2.4700 -0.1901 1.5951 -0.061 -0.109 -0.051
S 1.5706 -1.6321 1.5417 -0.001 -0.015 0.123
N 3.7509 -0.1698 1.9992 0.088 0.069 -0.025
C 4.5226 -1.3486 2.3632 0.023 -0.053 0.014
C 5.1343 -2.0461 1.1580 -0.009 0.013 0.010
H 3.8782 3.3902 -0.1706 0.010 0.011 -0.004
H 2.7547 2.3122 -1.0106 -0.002 0.002 -0.010
H 4.1836 1.6493 -0.2198 0.013 -0.012 0.007
H 1.7883 3.0005 1.1447 0.014 0.006 0.030
H 3.1899 2.4308 2.0274 -0.016 -0.005 -0.019
H 0.9367 0.9357 0.9697 -0.045 -0.074 -0.043
H 4.2556 0.6978 1.9210 -0.023 -0.024 -0.003
H 3.8599 -2.0275 2.8977 0.017 0.032 -0.003
H 5.2999 -1.0194 3.0551 -0.020 -0.005 -0.003
H 4.3487 -2.3800 0.4817 -0.008 -0.004 -0.009
H 5.7077 -2.9164 1.4777 0.014 -0.018 0.001
H 5.8039 -1.3772 0.6152 0.011 0.007 -0.008
```
Forces are in eV/Å.


Record 2
Entry from the OMol25 dataset: a molecular structure, C17H23N5O4S2 in a non-equilibrium geometry (wB97M-V/def2-TZVPD).

Summary:
max |F| = 15.22 eV/A
HOMO = -0.319 Eh
net charge = 0
Kohn-Sham gap = 8.5 eV
relative energy (zero: lowest compared OMol25 entry of this formula, charge and spin) = 2074.2 kJ/mol
E = -2031.96126 Ha

```
51
Properties=species:S:1:pos:R:3:forces:R:3
C -1.5828 -2.7041 1.8693 -2.215 7.422 -2.495
H -1.2534 -3.5739 2.1676 2.066 -4.410 1.484
H -1.4262 -2.3849 0.8167 0.770 -0.772 0.541
H -2.6762 -2.6811 1.8442 -0.110 -0.245 0.699
C -1.0420 -1.3470 2.8425 0.364 -13.878 1.023
N -1.3550 -0.2373 2.4178 -4.696 8.566 -2.704
Next Steps and Impact for Companies
Later this year, the European Commission will announce additional measures, such as a Digital Services Act, which will establish rules for all businesses to access the Single Market, strengthen the responsibility of online platforms, and protect fundamental rights. Further, the European Union will continue to emphasize cybersecurity by promoting cooperation through a Joint Cyber Unit that protects critical European infrastructure and strengthens the cybersecurity single market.
All companies active in AI and big data should consider taking part in the consultation to stir the debate around the legislative framework for trustworthy AI. Digital companies may be included in a competition law sector enquiry that will start this year. A raft of legislative proposals and regulations may already be anticipated, such as ex-ante regulation for digital gatekeepers to facilitate market entry and fair competition, data governance, data act, the launch of a cloud services marketplace, a (self-)regulatory cloud rulebook, a revision of the digital identities regulation, and a regulation for regulating foreign subsidies.